“i think the sec can do the job.”
earlier today, sec chairman mary schapiro sat down with pbs’ nightly business report and gave her first televised interview since taking over the reins of the sec two months ago. below is the complete transcript.
stephanie dhue, correspondent, nightly business report:  you told credit rating agencies the status quo wasn’t good enough. when will we see changes in the way they do business?
mary schapiro, chairman, securities and exchange commission:Â as you know we held a roundtable yesterday on credit rating agencies and we brought in about 30 experts from academia, from the investment community from labor unions and from the credit rating agencies themselves to talk about the short comings in the current model of credit rating agencies. and we had an enormous amount of information from all of these participants and a lot of issues for us to parse and to really think about, so i can’t tell you a specific time when i think we’ll be done on that issue, but we will be very much informed by what we learned yesterday from all these experts and proceed hopefully sometime this summer to propose some additional enhancements.
stephanie dhue:Â so you think new regulations will be needed, the regulations that have been put in place don’t just need enough time to work?
mary schapiro: some of the regulations are new they haven’t really had enough time to work. but i think there are some additional things we need to focus on to align the interests of the credit rating agencies with the users of the ratings, investors, as opposed to the issuers of the security. and that’s really important to us because investors relied on credit ratings, they were badly misled in many cases, and if we want to bring integrity back to the ratings process, we’ve got to find a way for the ratings agencies to serve the users of the ratings and that’s investors.
stephanie dhue:Â would you be prepared to take away a company’s “nationally recognized” status as a credit rating agency to punish them if they don’t get their act together?
mary schapiro:Â i think if somebody has the nationally recognized rating from the sec and they violate the law, that’s absolutely something we would consider doing.
stephanie dhue:Â we’re just about in the throws of proxy season and shareholder activists are pushing hard to reign in executive pay, will you help them to get rid of non responsive board members by giving them access to the proxy?
mary schapiro: we are very committed to giving long term, serious investors access to the proxy and we should propose rules on that probably in a month or so for the commission to consider and to put out for comment.  but it’s real important, especially given the crisis that we are going through right now that boards be ever more accountable to owners of the company, the shareholders. so we are very committed to moving ahead on responsible proxy access as soon as possible.
stephanie dhue:Â responsible proxy access – how far do you go?
mary schapiro: i think we have to grant access to the proxy to longer term shareholders of some size in terms of their share holdings, there has been lots of debate about should you have to own 5% or 1% of a company’s stock, or should we have a tiered approach, where depending on the size of the company the threshold for stock ownership might be different. so we are looking at all of those different options and we will propose something in about a month which we think will provide very good and responsible access.
stephanie dhue:Â just before the financial meltdown banks that owned money market funds were quietly shoring up funds they were concerned would break the buck, or would have broken the buck if they didn’t pour money in, largely unbeknownst to investors. what changes are you going to make to money market mutual funds and the way they are regulated?
mary schapiro:Â money market funds are an enormously important part of the financial system, there are 4 trillion dollars in money market funds and investors rely on them enormously. so from my perspective, it’s really critical that the sec take all the steps it can to bolster confidence in money market funds. so we are going to look at proposing rules very shortly that will enhance the credit quality of money market holdings, shorten maturities, and therefore increase liquidity and hopefully make them more resilient in an economic crisis then we learned they were in this past fall.
stephanie dhue:Â do you think investors should be concerned about money market funds, there is the insurance now, but are there still dark areas there? will we see more turmoil?
(Calculated crystals, kept here for reference)
'''
Record 1
The following is a PBE-GGA calculation of an optimized crystal structure of LaGdPdPt, from Alexandria.

```
LaGdPdPt
1.0
5.0956 0.0000 0.0000
2.5478 4.4129 0.0000
2.5478 1.4710 4.1605
Gd Pd Pt La
1 1 1 1
Cartesian
5.0956 2.9419 2.0803
2.5478 1.4710 1.0401
7.6434 4.4129 3.1204
0.0000 0.0000 0.0000
```

## Properties
E_form = -3.82 eV/f.u.
crystal system = cubic
V = 23.4 Å³ per atom
total magnetization = 7.2 μB per cell

***

Record 2
The following is a PBE-GGA calculation of an optimized crystal structure of LaGdSiPd, from Alexandria.

```
LaGdSiPd
1.0
5.1356 0.0000 0.0000
2.5678 4.4475 0.0000
2.5678 1.4825 4.1932
Si Gd Pd La
1 1 1 1
Cartesian
2.5678 1.4825 1.0483
5.1356 2.9650 2.0966
7.7034 4.4475 3.1449
0.0000 0.0000 0.0000
```

## Properties
crystal system = cubic
V = 23.9 Å³ per atom
energy relative to the elements, uncorrected = -2.7 eV per formula unit
total magnetization = 7.2 μB per cell

***

Record 3
The following is a PBE-GGA calculation of an optimized crystal structure of LaGdSnPd, from Alexandria.

```
LaGdSnPd
1.0
5.3259 0.0000 0.0000
2.6629 4.6123 0.0000
2.6629 1.5374 4.3486
Gd Sn Pd La
1 1 1 1
Cartesian
0.0000 0.0000 0.0000
2.6629 1.5374 1.0871
7.9888 4.6123 3.2614
5.3259 3.0749 2.1743
```

## Properties
E_form = -2.84 eV/f.u.
crystal system = cubic
V = 26.7 Å³ per atom
total magnetization = 7.2 μB per cell

***

Record 4
The following is a PBE-GGA calculation of an optimized crystal structure of LaGdTlPd, from Alexandria.

```
LaGdTlPd
1.0
-3.4011 -2.8511 -2.9635
1.5269 -1.8682 -4.7600
0.7948 -5.2327 -0.6828
Tl Gd Pd La
1 1 1 1
Cartesian
-0.2699 -2.4880 -2.1015
0.0000 0.0000 0.0000
-0.8096 -7.4641 -6.3046
-0.5397 -4.9760 -4.2031
```

## Properties
E_form = -2.04 eV/f.u.
crystal system = cubic
V = 26.9 Å³ per atom
total magnetization = 7.3 μB per cell

***

Record 5
The following is a PBE-GGA calculation of an optimized crystal structure of LaPmGd2, from Alexandria.

```
LaPmGd2
1.0
-4.9363 2.4300 1.8089
-4.9115 -0.8880 -2.9381
-4.1834 -3.2932 2.2800
Gd La Pm
2 1 1
Cartesian
-3.5078 -0.4378 0.2877
-10.5234 -1.3134 0.8631
0.0000 0.0000 0.0000
-7.0156 -0.8756 0.5754
```

## Properties
E_form = 0.37 eV/f.u.
offset from the most stable computed form = 0.29 eV/f.u.
crystal system = cubic
V = 34.3 Å³ per atom
total magnetization = 16.1 μB per cell

***

Record 6
The following is a PBE-GGA calculation of an optimized crystal structure of La2PmGd, from Alexandria.

```
La2PmGd
1.0
5.1494 0.0000 0.0000
0.0000 5.2247 0.0000
0.0000 0.0000 5.2247
Gd La Pm
1 2 1
Cartesian
2.5747 0.0000 0.0000
0.0000 0.0000 2.6123
0.0000 2.6123 0.0000
2.5747 2.6123 2.6123
```

## Properties
E_form = 0.05 eV/f.u.
offset from the most stable computed form = 0.00 eV/f.u.
crystal system = tetragonal
V = 35.1 Å³ per atom
total magnetization = 7.4 μB per cell

***

Record 7
The following is a PBE-GGA calculation of an optimized crystal structure of LaPmGd2, from Alexandria.

```
LaPmGd2
1.0
3.6473 0.0000 0.0000
0.0000 3.6473 0.0000
0.0000 0.0000 10.2532
'''
mary schapiro:Â it’s hard to predict whether we’ll see more turmoil there, but i think investors can have confidence in the basic integrity of money market funds. the insurance program is in place, as you mentioned, and we will take the steps necessary to again restore their resilience in times of economic crisis.
stephanie dhue:Â the sec has been involved in investor education on ponzi schemes, particularly in light of the madoff scandal, are you getting more people calling in with tips about ponzi schemes and what are you doing with that information?
mary schapiro:Â we receive close to a million tips per year at the agency and we need to handle them better and more effectively then we have historically, and we are reviewing from a to z our process so we can be more effective with them. but i will tell you the number of ponzi schemes that we are detecting early on and stopping, shutting down immediately has grown dramatically in the time that i’ve been here and i think to quote warren buffett, “when the tide goes out we see who’s been swimming naked” and that’s what’s happened with ponzi schemes. they can’t maintain the scheme in more difficult economic times and as a result they are being exposed earlier on.
stephanie dhue:Â you certainly do have your work cut out for you, you’re also looking at bank of america and bonuses that they paid to merrill lynch, if you find that they didn’t disclose that information like they should, what’s the punishment for that?
mary schapiro:Â we’re looking very carefully about the disclosure of the bonuses and i’ve said that to a member of congress who inquired about it, and if it turns out to be inappropriate it will be referred to our enforcement division and then we have the full range of sanctions that we can imply in the conduct of an enforcement case.
stephanie dhue:Â but even though you’ve been making all these efforts, the sec, given its handling of the financial crisis is under fire and some critics say, you know, it’s time to scrap it and start over, maybe fold it into the cftc or just do away with it, they haven’t done their job. what do you see for this agency in the next five years?
mary schapiro:Â i don’t think that there’s any doubt that the agency has had a difficult couple of years, but i think now more than ever, particularly in a crisis, we need a competent, very aggressive, very activist securities and exchange commission. we are the only federal agency charged with protecting investors, those are our constituents, those are the people we should be serving and i’m highly committed to doing that. i would not have come to the sec if i didn’t feel like i had the freedom to move the agency in that direction. the markets are critically important, restoring investor confidence in the market is important, that’s not going to happen if the sec isn’t doing a first class job and that’s what we’re committed to do.
stephanie dhue:Â can the sec do the job, can they police the markets, or does it just give people a false sense of security that their investments are being protected, when they’re not.
mary schapiro:Â i think the sec can do the job. does that mean we’ll never miss a fraud or we’ll never miss a scam? of course not, the markets are enormous. we’re an agency of only 3,500 people with close to 30,000 regulated entities, so we’re small for the task, but with that said i think with an aggressive enforcement program, with a regulatory response to problems as they begin to emerge, so that the rules are written that protect the public more effectively, i think we can do a very, very good job. that said, investing always has risks and investors always need to have that in the front of their minds.
stephanie dhue:Â we’ve been speaking with mary schapiro, chairman of the securities and exchange commission, thanks for joining us.
mary schapiro:Â thanks it was my pleasure.